Home / 2013 / April

Letter to Emily – April

Dear Emily,

Between two parts of the article: data records
'''
A geometry-optimized MnIrO3 structure, computed with GGA+U.

a = 5.6257 Å, b = 5.6257 Å, c = 6.3129 Å
α = 100.79°, β = 100.79°, γ = 39.09°
Closest atoms and distances in Å follow each position.
Fractional positions:
Mn1 0.1343 0.1343 0.3980  5 O 2.08-2.30
Mn2 0.8657 0.8657 0.6020  5 O 2.08-2.30
Ir1 0.3692 0.3692 0.0865  6 O 1.94-2.09
Ir2 0.6308 0.6308 0.9135  6 O 1.94-2.09
O1 0.1721 0.1721 0.9530  3 Ir 1.94-2.09
O2 0.3294 0.3294 0.3886  1 Ir 2.03, 1 Mn 2.08
O3 0.4371 0.4371 0.7990  2 Ir 2.04-2.08
O4 0.5629 0.5629 0.2010  2 Ir 2.04-2.08
O5 0.6706 0.6706 0.6114  1 Ir 2.03, 1 Mn 2.08
O6 0.8279 0.8279 0.0470  3 Ir 1.94-2.09

Computed properties:
Symmetry = C2/m, No. 12
Uncorrected energy = -7.137 eV per atom
D(E_F) = 4.81 states/eV per cell
V = 12.3 Å³ per atom

---

A geometry-optimized MnP2IrO structure, computed with GGA+U.

a = 4.8769 Å, b = 4.8769 Å, c = 3.6843 Å
α = 90.00°, β = 90.00°, γ = 90.00°
Closest atoms and distances in Å follow each position.
Fractional positions:
Mn1 0.0000 0.0000 0.0000  8 P 3.06
P1 0.0000 0.5000 0.5000  2 Ir 2.44
P2 0.5000 0.0000 0.5000  2 Ir 2.44
Ir1 0.5000 0.5000 0.5000  2 O 1.84
O1 0.5000 0.5000 0.0000  2 Ir 1.84

Computed properties:
Symmetry = P4/mmm, No. 123
Uncorrected energy = -6.175 eV per atom
D(E_F) = 4.26 states/eV per cell
V = 17.5 Å³ per atom
'''

As usual – what a month!  You made a huge leap in everything at the start of this month.  Over Easter you decided to change everything up with your feeds, sleeps – everything.  You’ve dropped a bottle and we’re down to doing only 4 bottles a day now and we’ve massively increased the amount of solids you have.  Very clearly two big meals a day – porridge and fruit in the morning for breakfast and then veges and a bit of fruit for lunch.  You’re down to three naps a day, still sleeping really well and towards the end of this month you’ve given us several nights where you haven’t woken up and needed us to help you resettle once!

Emily 8 months

On the movement front, you made it up onto your knees but took a while to work out that you could move forwards on you knees as well.  Then in the space of a week you went from a couple of tentative forward movements, to happily crawling after us or the cat or exploring away on your own.  It only took a couple of days and you were starting to pull yourself up onto your knees, then your feet and a couple of days ago you pulled yourself up onto the first step on our staircase.  Needless to say it is now blocked off!  You’re still a bit wobbly though and have taken a few tumbles, a few tears, but you’re tough and are usually easy to distract with a toy.

Emily 8 months stairs

You also have really started to show your personality.  After not being a very cuddly baby, you now love nothing more than crawling up to and snuggling up with mummy and daddy.  You give us big grins, lots of giggles and when we pick you up you happily nestle into a shoulder.

It’s been a wonderful month watching you change from a baby to an interactive and loving little person.

Love you lots and lots and lots xoxoxo

Emily 8 months looking at camera

To see the next blog in our Letters to Our Children blog circle, head over to Nicole’s blog for beautiful photography and words.

An Afternoon at the Beach – Family Photography – Sydney

This fabulous family decided that they wanted to have photos at the beach, so one late afternoon we made our way down to Long Reef to see what we could find there.  I had already checked that it would be low tide, so most of the sand and rock platforms would be exposed, giving us loads of opportunities for exploring and some interesting shots.  It was the end of a beautiful sunny day, a little bit windy and made for some fantastic photos!

family photography, long reef, beach, sydney

The kids were fantastic, they were so enthusiastic and had a great time exploring the new beach.  The kids (and mum!) all had new outfits bought especially for the shoot so they were excited to get to wear them and looked great! We played in the sand, checked out rock pools, clambered over driftwood and in general just had a lot of fun!  As we neared the end of the shoot, the reflections in some of the rock pools were just magical, so of course we had to get one final family photograph…

long reef beach, family photography, reflections

Beautiful Balmain morning – Sydney Family Photography

It was a gorgeous sunny morning in Sydney when I met up with this family to take their photos at Ballast Point Park in Balmain.  The kids were fantastic, happy to have their photo taken and keen to show me to all their favourite places around the park – it is pretty local to them so they know it well.  There were three, no four, no FIVE favourite places we had to go to and take photos in each – all of them just perfect!  And baby Gus is one of the most smiley bubs I’ve met and would look over with a big grin almost every time I called out to him.

Ballast Point Park, Sydney, Family Photography